E-Commerce: Enhancing Performance and Growth with Seven Bits

~~~
Here is a structure of composition C27H32FeO4 at a distorted geometry from the Open Molecules 2025 dataset. Energies are from the ωB97M-V functional and the def2-TZVPD basis.

Calculated values
Charge: -2
LUMO level (alpha / beta), eV: 4.37 / 2.35
<S²>: 6.06
HOMO-LUMO gap (alpha / beta), eV: 1.84 / 6.26
Multiplicity: 5

Each line ends with the Löwdin charge.
Element x y z (Å)
C1 3.85212 2.23292 2.67525  -0.10
C2 3.31934 0.85433 2.91674  -0.26
O1 1.94217 0.83882 2.52704  0.00
C3 1.45422 -0.41469 2.61397  -0.41
C4 0.04072 -0.57973 2.32935  0.06
C5 -0.57678 -1.94510 2.53086  -0.36
C6 -0.64779 -2.28997 4.01961  -0.15
C7 0.22124 -3.00967 1.77791  -0.08
C8 -0.75083 0.60424 2.11007  -0.43
O2 -0.39222 1.73061 1.78702  0.09
O3 -2.07302 0.29883 2.29370  -0.07
C9 -2.96430 1.44102 2.38006  -0.28
C10 -2.74830 2.24538 3.62856  -0.25
O4 2.20528 -1.34400 2.94224  0.04
H1 4.88576 2.25384 3.02235  0.07
H2 3.84790 2.47920 1.61113  0.07
H3 3.29067 3.00072 3.21096  0.07
H4 3.88842 0.13150 2.31984  0.12
H5 3.40463 0.58632 3.97896  0.12
H6 -1.59149 -1.88874 2.11462  0.12
H7 -1.24789 -1.53293 4.53746  0.05
H8 -1.10858 -3.27519 4.15340  0.06
H9 0.37254 -2.30107 4.42334  0.07
H10 0.26703 -2.73794 0.71490  0.08
H11 1.23338 -3.03224 2.20113  0.07
H12 -0.26713 -3.98652 1.88358  0.07
H13 -2.79718 2.07358 1.50153  0.11
H14 -3.95850 0.98918 2.33707  0.09
H15 -3.40464 3.11470 3.60631  0.04
H16 -2.97832 1.66000 4.52259  0.03
H17 -1.71322 2.59389 3.66191  0.06
C11 0.51467 0.91522 -4.86030  -0.18
C12 -0.02721 -0.41104 -4.58063  -0.18
C13 0.56345 -0.88402 -3.33763  -0.16
C14 1.46299 0.14843 -2.84693  -0.16
C15 1.43775 1.25614 -3.78938  -0.17
Fe1 -0.37334 0.84776 -3.10795  -0.18
C16 -0.96651 2.15257 -1.71546  -0.13
C17 -1.39513 2.53954 -3.04732  -0.13
C18 -2.14454 1.44111 -3.61683  -0.12
C19 -2.27375 0.38591 -2.59075  -0.27
C20 -3.00956 -0.82355 -2.72638  -0.01
C21 -3.47109 -1.62789 -1.65635  -0.22
C22 -3.72448 -3.00786 -1.90973  -0.07
C23 -4.23504 -3.83323 -0.92100  -0.12
C24 -4.54045 -3.32249 0.34993  -0.13
C25 -4.28813 -1.96912 0.62727  -0.13
C26 -3.76260 -1.12677 -0.34490  -0.03
C27 -1.45098 0.82315 -1.44940  -0.10
H18 0.30172 1.52247 -5.73812  0.05
H19 -0.70911 -0.97208 -5.21540  0.07
H20 0.40516 -1.86083 -2.88499  0.10
H21 2.10790 0.06666 -1.97504  0.10
H22 2.05153 2.15271 -3.73592  0.08
H23 -0.42694 2.76924 -1.00087  0.11
H24 -1.20444 3.49970 -3.51955  0.10
H25 -2.65232 1.38804 -4.57707  0.11
H26 -3.28564 -1.10112 -3.75036  0.11
H27 -3.47572 -3.39282 -2.90261  0.10
H28 -4.40288 -4.88804 -1.13747  0.09
H29 -4.97114 -3.97254 1.11414  0.08
H30 -4.51117 -1.56398 1.61536  0.07
H31 -3.61092 -0.06553 -0.12772  0.10
H32 -1.36500 0.26045 -0.52452  0.11

Forces on atoms 1 to 3 (eV/Å):
0.1653 0.4328 -0.1165
0.3489 0.3315 -0.0079
0.1324 -0.7660 0.1813

* * * * *

67
Properties=species:S:1:pos:R:3 method="wB97M-V/def2-TZVPD" relative_energy_kj_mol=191.3 charge=+1 homo_ev="-10.33 / -10.44" spin_multiplicity=1
Os 0.862 1.431 -1.401
O 0.582 0.279 3.112
C 1.862 0.622 3.425
C 2.299 0.609 4.746
~~~
### So much for the records of molecules

The $4.89 trillion eCommerce industry is booming worldwide, and there is no going back for this paradigm shift. Post-COVID, the majority of people shifted to eCommerce, and this movement had a massive positive impact on this industry. 

The upcoming time will be distinctive as customers' demands are changing and overgrowing with the trends. As a result, companies need to think from a customer experience perspective to bring more growth to their businesses. Whether it's a local eCommerce business or a multi-national business serving thousands of customers, the core boils down to one thing — cutting-edge performance. 

Businesses need to ensure their every touchpoint is adding value to their users and their platform is technologically sound to serve a large customer base. To simplify your eCommerce journey, Seven Bits has done the research. In this post, we will walk you through with top five futuristic advancements that can help your business grow in terms of sales, customer base, and performance. 

1. M-Commerce

M-Commerce is the future of eCommerce, and COVID has accelerated its adoption globally. The majority of the retail eCommerce transactions and revenue is generated from M-Commerce, and businesses can't overlook this advancement. In addition, companies that have been responsive to these trends multiplied their income in a shorter turnaround time. 

Seven Bits help your company optimize the eCommerce platform for mobile devices and develop a dedicated shopping experience. With our eCommerce development services, you improve the overall customer experience and better control over your business. A reliable mobile application brings in more convenience, flexibility to customers. With the availability of advanced eCommerce platforms like nopCommerce, we have got you covered. 

Whether you need to improvise an existing platform or require it from scratch, our professionals meet all your business goals with excellence. In addition to offering a robust buying experience, you also get an uninterrupted and controlled channel to run marketing campaigns. 

2. Digital & crypto wallets

It's one of the most important and transforming online buying features that is disrupting the traditional mediums. As customers are getting more aware of new transaction options, they expect the same from the eCommerce platforms. Digital and cryptocurrency wallets drive convenience to online shopping along with boosting the e-commerce business. 

Digital transactions made from wallets are typically of high value compared to those made from cards or cash. As it makes the checkout process seamless and faster, customers are willing to pay a little extra for the prompt service. 

Seven Bits help businesses by integrating modern digital wallets that also support cryptocurrencies and anonymous checkout. As a result, get ahead of the competition by introducing superior convenience and ease of access. In the upcoming time, when more users will permanently shift to a decentralized ecosystem and rely on DeFi applications, eCommerce businesses can get a huge advantage. 

3. Blockchain development

Blockchain is disrupting technology, and it's shaping industries to do more with fewer resources and time. Blockchain-based eCommerce platforms are the future that will make companies go big. Using this decentralized technology, business owners can ensure their processes are scalable and on-demand. In addition, it will bring more speed and transparency to the business by allowing everyone to see how companies are managing their data and financials. 

Blockchain technology will open several opportunities for companies to expand their business in international markets. When customers don't need to rely on country-specific currencies to make payments, the sales accelerate. 

Seven Bits is a pioneer blockchain development company that offers bespoke eCommerce services to drive performance. We help businesses with migrating legacy systems to blockchain, smart contract integration, and cryptocurrency exchange development services. Our Blockchain Center of Excellence (CoE) team understands your business goals and drafts a custom strategy to make you stand apart. 

4. Progressive Web Apps (PWA)

It's one of the significant eCommerce trends that are booming and getting widely employed in the eCommerce industry. eCommerce businesses are constantly searching for ideas to increase their revenue and improve the buying experience in an omnichannel way. A progressive web app is the most reliable way to meet both these business goals.

Molecular data, kept here for reference
The following is a quantum chemistry calculation of a cluster of 2 separate species, C5H14 in total in a non-equilibrium geometry, from the OMol25 dataset.

The geometry in XYZ format:
```
19
Properties=species:S:1:pos:R:3
H 0.10 2.89 -0.25
H -1.46 0.71 0.14
C -0.92 1.27 0.90
H 0.45 -3.30 -1.05
H 2.65 -2.03 -2.69
H -1.58 3.09 -0.13
C -0.73 2.73 0.44
H 0.35 -1.57 -1.58
H 2.61 -1.70 -1.00
C -1.55 1.15 2.27
H -0.77 3.38 1.31
C 0.77 -2.56 -1.78
H -0.98 1.67 3.04
C 2.31 -2.44 -1.73
H 2.78 -3.42 -1.66
H 0.41 -2.82 -2.78
H -2.54 1.63 2.23
H 0.07 0.81 0.84
H -1.77 0.13 2.55
```

multiplicity: 1
structure (SMILES): CCC.CC
largest force on an atom: 0.030 Eh/bohr
Kohn-Sham gap: 12.171 eV
energy relative to the best compared isomer or geometry (same formula, charge and spin): 37.46 kJ/mol

Löwdin population analysis, charges in e, atoms 1 to 6:
1. H 0.065
2. H 0.089
3. C -0.327
4. H 0.056
5. H 0.058
6. H 0.062

The following is a quantum chemistry calculation of a cluster of 2 separate species, C5H14 in total in a non-equilibrium geometry, from the OMol25 dataset.

The geometry in XYZ format:
```
19
Properties=species:S:1:pos:R:3
H 0.50 -1.39 0.23
H 2.24 1.86 0.12
H -1.11 1.42 -1.56
H -0.34 -3.81 0.95
C -0.16 -2.16 -0.37
H 0.36 -2.92 -1.05
H 1.55 2.01 1.67
H -1.90 -3.49 0.22
C -0.95 -3.02 0.64
C -0.05 2.08 0.34
C -0.19 2.12 -1.22
H 0.67 1.72 -1.69
H -1.14 -2.36 1.44
H -0.88 1.40 0.84
H -0.45 3.03 -1.69
H -0.81 -1.61 -1.05
H -0.17 3.13 0.71
H 1.53 0.42 0.76
C 1.31 1.59 0.71
```

multiplicity: 1
structure (SMILES): CCC.CC
largest force on an atom: 0.086 Eh/bohr
Kohn-Sham gap: 12.055 eV
energy relative to the best compared isomer or geometry (same formula, charge and spin): 142.74 kJ/mol

Löwdin population analysis, charges in e, atoms 1 to 6:
1. H 0.074
2. H 0.083
3. H 0.105
4. H 0.030
5. C -0.174
6. H 0.079

The following is a quantum chemistry calculation of a cluster of 2 separate species, C5H14 in total in a non-equilibrium geometry, from the OMol25 dataset.

The geometry in XYZ format:
```
19
Properties=species:S:1:pos:R:3
H 0.07 -3.26 -0.54
H 0.96 -1.87 -1.04
H 0.11 -1.93 0.69
H -1.01 1.08 1.14
H 1.18 -0.08 0.83
H -0.56 2.19 -1.22
C 0.06 -2.15 -0.39
C 1.15 0.86 1.43
H -2.08 -2.36 -0.75
H 1.01 0.56 2.47
C 0.06 1.59 -0.66
C -0.04 1.60 0.84
H 2.00 1.38 1.35
H 0.04 0.63 -1.07
H -1.46 -0.64 -0.94
C -1.23 -1.66 -1.07
H -0.20 2.64 1.29
H -1.17 -1.85 -2.09
H 1.02 2.07 -1.02
```

multiplicity: 1
structure (SMILES): CCC.CC
largest force on an atom: 0.089 Eh/bohr
Kohn-Sham gap: 12.353 eV
energy relative to the best compared isomer or geometry (same formula, charge and spin): 95.97 kJ/mol

Löwdin population analysis, charges in e, atoms 1 to 6:
1. H 0.066
2. H 0.088
3. H 0.061
4. H 0.113
5. H 0.056
6. H 0.045

Number 2 is which compound?
C5H14

~~~~~

1.
C44H78O31S4 | ωB97M-V with the def2-TZVPD basis set

```
! wB97M-V def2-TZVPD RIJCOSX def2/J DEFGRID3
* xyz 0 1
C 0.34 9.57 13.07
C -0.87 10.36 13.58
C -0.97 10.19 15.05
O -1.09 11.55 15.49
C -0.78 12.45 14.51

A PWA is a full-fledged website that has the structure of a mobile application. Therefore, rather than developing and launching native mobile apps, eCommerce companies can take benefit of PWAs to offer a more dependable mobile experience. 

At Seven Bits, we offer full-stack eCommerce development, including PWA, to make your business future-focused and scalable. We bring in the support for multiple eCommerce platforms to meet your business goals. 

5. Security

In 2021 and beyond, security is and will remain a priority. As we move towards digitization, cyber threats are also growing. For ensuring a seamless and more secure eCommerce experience across all channels, businesses need to upgrade their security implementations. We help companies integrate their services with blockchain to offer more security and agility. 

Be it securing transaction mediums to keeping customers' data safe on blockchain databases, we have got you covered. We cover all basic and advanced security necessities that will bring more trust to your customers. 

Get started with Seven Bits

Seven Bits is among the leading and innovative eCommerce development companies that offer full-fledged services. With years of experience and expert professionals, we ensure your customers get top-of-the-line experience, and you experience a massive revenue surge. Get in touch with our experts at sales@sevenbits.in to know more about eCommerce trends and development services to grow your business.